Hemp Summary points

FDA finding on hemp oil in food: Conclusions August 24, 2000 FDA has evaluated the information that you discuss in your GRAS notice as well as other data and information that are available to the agency. It is our view that this information does not provide a sufficient basis for a determination that hempseed oil is GRAS, through experience based on common use in food, under the proposed conditions of use. ======New marijuana laws tied to increase teen use: SEATTLE (AP) — Washington high school students who participated in a statewide survey say they are twice as likely to smoke marijuana as cigarettes, and the state's top health official said Thursday she's worried that a new marijuana law may make prevention efforts more difficult.

Washington Health Secretary Mary Selecky expressed concern that marijuana prevention efforts aren't ready to ramp up in response to the new state law.

~~~
one) This record from the Open Molecules 2025 dataset describes 2 unconnected molecules or ions with the total composition C3H9NOS. The level of theory is ωB97M-V with the def2-TZVPD basis set.

Each line ends with the Löwdin charge.
Positions of all 15 atoms, in Å:
S1 -1.4186 0.4221 -0.0583  0.67
O1 -1.7206 0.4053 -1.5145  -0.43
N1 -2.5752 0.1682 0.9912  -0.29
C1 0.7389 -1.4017 -0.8457  -0.14
C2 -0.0357 -0.6970 0.2216  -0.24
C3 1.6206 1.3959 0.5773  0.05
H1 -3.5858 0.0860 0.7443  0.02
H2 1.6663 1.6347 -0.5230  0.03
H3 1.5691 -1.9503 -0.4005  0.08
H4 1.1541 2.1159 1.2668  0.00
H5 0.0826 -2.2039 -1.1890  0.09
H6 -0.2343 -1.2637 1.1379  0.07
H7 -0.7910 1.6041 0.2875  0.03
H8 2.3741 0.6868 0.9975  0.01
H9 1.1554 -1.0025 -1.6931  0.04

## Properties
LUMO (alpha / beta)   -0.70 / -0.40 eV

***

two) This record from the Open Molecules 2025 dataset describes C3H9NOS in the gas phase. The level of theory is ωB97M-V with the def2-TZVPD basis set.

Each line ends with the Löwdin charge.
Positions of all 15 atoms, in Å:
S1 0.9065 -2.2560 1.9836  0.68
O1 -1.8289 1.6720 -1.7425  -0.15
N1 0.3905 1.0529 -0.6571  -0.06
C1 1.0843 0.1383 0.3138  -0.29
C2 -1.0305 1.1728 -0.4714  -0.24
C3 0.4316 -1.1819 0.4886  -0.55
H1 0.5729 -1.8217 -0.3960  0.07
H2 -2.7746 1.2922 -1.6236  0.10
H3 -1.3985 1.9304 0.3530  0.15
H4 -0.6743 -1.1801 0.5085  0.05
H5 0.5389 0.5765 -1.5771  0.13
H6 2.1347 0.2432 0.2527  0.10
H7 -1.4571 0.1848 -0.3585  0.07
H8 0.9537 0.5321 1.3463  0.11
H9 2.1509 -2.3556 1.5797  -0.18

## Properties
SMILES   OCNCCS
LUMO   0.76 eV

***

three) This record from the Open Molecules 2025 dataset describes 2 unconnected molecules or ions with the total composition C3H9NOS. The level of theory is ωB97M-V with the def2-TZVPD basis set.

Each line ends with the Löwdin charge.
Positions of all 15 atoms, in Å:
S1 0.9101 -0.6847 -0.9498  0.66
O1 -4.2590 0.1684 -1.0103  -0.01
N1 -2.4044 -0.7033 0.0694  0.12
C1 2.7167 0.9609 0.5021  -0.24
C2 -3.1197 -0.2407 -0.9928  -0.43
C3 1.3223 0.4189 0.4775  -0.67
H1 3.4723 0.0598 0.4785  0.09
H2 -2.6167 -0.3142 -2.0869  0.16
H3 -2.9209 -1.0316 0.8562  0.10
H4 0.5302 1.2482 0.4716  0.08
H5 0.9651 -1.8389 -0.2611  -0.14
H6 -1.5543 -1.0980 -0.1636  -0.02
H7 3.0280 1.7509 -0.4120  0.13
H8 1.1140 -0.1356 1.4537  0.09
H9 2.8162 1.4398 1.5675  0.09

## Properties
SMILES   NC=O.CCS
LUMO   0.57 eV

***

It is three) that is most stable; the runner-up trails by 0.0436 hartree.

***

one) This record from the Open Molecules 2025 dataset describes C3H9NOS in the gas phase. The level of theory is ωB97M-V with the def2-TZVPD basis set.

Each line ends with the Löwdin charge.
Positions of all 15 atoms, in Å:
S1 3.1407 0.8067 -0.5471  0.68
O1 -2.5345 0.6686 -0.0917  -0.07
N1 -0.6399 -0.8540 0.1735  -0.06
C1 1.6253 -0.2309 -0.6031  -0.57
C2 -1.8661 -0.3451 0.7042  -0.28
C3 0.4863 0.0534 0.3641  -0.30
H1 2.5994 1.9626 -0.0859  -0.15
H2 2.0568 -1.2279 -0.5078  0.06
H3 -1.6447 0.1528 1.6418  0.12
H4 0.2293 1.1076 0.2241  0.11
~~~

This is compatible to what Dr. Johnston of Monitoring The Future Survey has been saying for decades; increase in perceived approval with lower perceived risk equals increased abuse. ======

A Midwest state law enforcement agency recently reported that an officer came in contact with a subject holding a "Recommendation" to use marijuana in California for medicinal purposes. The "Recommendation" allowed the subject to purchase THC laced items including catsup, candy bars, hot sauces, cookies, and brownies. The marijuana is sold in 1/8 ounce sizes and are displayed by names such as Alcapulco Gold, Maui Wowie, etc., a 1/8 ounce product sells for about $65.00. The candy bar pictured was in the subject's possession at the time of contact. When field tested, the candy bars tested positive for marijuana.

Note the candy is named after Cheech from "Cheech and Chong" marijuana movie stars.

NOTE: 1. Some infer they have active THC in them and they do not. 2. Some claim make with hemp seed oil and they may or may not have any hemp oil in them. 3. I have heard of some positive test for the hemp candy and it may be they did use the hemp seed oil and some THC on [not in] the seed contaminated the batch or they deliberately added THC or did not care if THC was present. 4. Some new products [below] have a high THC content by the process of infusion:

On April 13, 2012, the items pictured above were seized from a suspect in the South County Precinct. The suspect referred to these items as “candy weed” during his arrest. He stated that he gets them from a friend who drives to California and pays $10 apiece for them. When confiscated, they were each wrapped individually and placed into a plastic Ziploc baggie. Upon analysis by the St. Louis County Crime Lab, it was found that these items do, in fact, contain high levels of THC. Research on this drug revealed that these items are made by grinding marijuana into a fine powder, heating it in vegetable oil for up to an hour, then passing it through cheesecloth to remove any solids. More sophisticated manufacturers have been known to use a highly concentrated extract whipped up in a special device that cooks the oil down to its purest form, leaving just a liquid pool of THC at the end. This oil or extract is then mixed with sugar, water and corn syrup and cooked. The finished product is then broken down into bite sized pieces (as shown above) and can be smoked, but is usually eaten.